-- Job --
Quote the whole of the contents below without additions.

-- Source --
┌──
Record 1
# C36H34N4O2S4V

A molecular structure, C36H34N4O2S4V (wB97M-V/def2-TZVPD, the OMol25 dataset).

Values from the calculation:
- Orbital gap (alpha / beta): 6.4 / 6.6 eV
- Multiplicity: 3
- HOMO (alpha / beta): -4.371 / -4.557 eV
- Energy above the lowest of the compared OMol25 structures with the same formula, charge and spin: 0.0 kJ/mol
- Net charge: -1

CARTESIAN COORDINATES (ANGSTROEM)
V  -0.061  1.086  0.476
C  1.109  0.351  -2.318
N  0.075  1.296  -1.840
C  -1.264  0.788  -2.244
C  -2.374  1.467  -1.468
N  -2.337  1.030  -0.054
C  -2.948  -0.311  0.075
C  -3.056  1.927  0.838
C  -4.295  2.438  0.475
C  -5.018  3.238  1.345
C  -4.498  3.514  2.601
C  -3.264  3.006  2.969
C  -2.516  2.212  2.097
S  -0.916  1.664  2.590
C  0.281  2.633  -2.385
C  0.538  2.803  -3.741
C  0.718  4.067  -4.278
C  0.633  5.174  -3.439
C  0.364  5.009  -2.095
C  0.172  3.736  -1.533
S  -0.206  3.548  0.155
H  1.008  0.153  -3.391
H  0.990  -0.588  -1.785
H  2.093  0.762  -2.113
H  -1.263  -0.284  -2.052
H  -1.410  0.936  -3.320
H  -3.337  1.218  -1.930
H  -2.251  2.550  -1.487
H  -4.000  -0.270  -0.233
H  -2.899  -0.633  1.113
H  -2.417  -1.034  -0.537
H  -4.700  2.207  -0.503
H  -5.978  3.640  1.045
H  -5.048  4.138  3.296
H  -2.845  3.237  3.940
H  0.603  1.938  -4.389
H  0.926  4.186  -5.334
H  0.778  6.171  -3.838
H  0.295  5.869  -1.441
O  -1.491  -1.486  3.160
C  -0.566  -2.477  3.092
C  -0.380  -3.223  4.258
C  0.513  -4.276  4.289
C  1.240  -4.605  3.149
C  1.035  -3.884  1.989
C  0.132  -2.822  1.934
C  -0.100  -2.163  0.615
O  -0.170  -0.884  0.526
N  -0.241  -3.032  -0.354
N  -0.507  -2.465  -1.588
C  -0.468  -3.307  -2.531
S  -0.132  -5.032  -2.304
C  -0.098  -5.402  -4.081
C  -1.068  -4.472  -4.789
S  -0.734  -2.795  -4.198
H  -1.256  -0.712  2.608
H  -0.954  -2.935  5.129
H  0.650  -4.834  5.207
H  1.957  -5.416  3.165
H  1.569  -4.137  1.083
H  -0.387  -6.445  -4.213
H  0.912  -5.265  -4.467
H  -2.099  -4.745  -4.564
H  -0.924  -4.482  -5.870
C  4.165  -1.059  3.838
C  2.756  -0.982  3.866
C  2.095  -0.264  2.909
C  2.774  0.420  1.867
C  2.050  1.165  0.874
C  2.830  1.898  0.002
C  4.243  1.869  0.005
C  4.919  1.102  0.908
C  4.195  0.368  1.878
C  4.862  -0.395  2.869
H  4.690  -1.636  4.590
H  2.198  -1.497  4.637
H  1.018  -0.187  2.944
H  2.354  2.536  -0.736
H  4.787  2.460  -0.725
H  6.003  1.059  0.913
H  5.946  -0.432  2.850



Record 2
# C36H35AsN7S4W

A molecular structure, C36H35AsN7S4W (wB97M-V/def2-TZVPD, the OMol25 dataset).

Values from the calculation:
- Orbital gap: 6.0 eV
- Multiplicity: 1
- HOMO: -8.821 eV
- Energy above the lowest of the compared OMol25 structures with the same formula, charge and spin: 0.0 kJ/mol
- Net charge: +1

CARTESIAN COORDINATES (ANGSTROEM)
W  -0.458  0.961  -0.793
S  -5.288  2.050  -3.220
C  -4.121  1.228  -3.806
S  -2.581  0.599  -0.356
S  -2.915  0.422  -4.337
S  -0.313  3.138  0.352
C  -0.697  2.925  2.069
C  -1.060  4.044  2.822
C  -1.321  3.922  4.177
C  -1.200  2.686  4.812
C  -0.841  1.576  4.068
C  -0.626  1.695  2.700
As  0.012  0.245  1.602
C  1.813  0.276  2.329
C  2.391  -0.726  3.095
C  3.685  -0.571  3.577
C  4.407  0.580  3.293
C  3.825  1.589  2.536
C  2.531  1.440  2.053
C  -0.848  -1.312  2.352
C  -0.231  -2.558  2.293
C  -0.865  -3.684  2.805
C  -2.131  -3.568  3.366
C  -2.765  -2.330  3.394
C  -2.128  -1.203  2.885
H  -1.129  5.009  2.333
H  -1.612  4.797  4.746
H  -1.377  2.595  5.877
H  -0.724  0.617  4.558
H  1.841  -1.618  3.355
H  4.128  -1.353  4.182
H  5.412  0.698  3.678
H  4.372  2.501  2.329
H  2.075  2.239  1.479
H  0.749  -2.659  1.842
H  -0.369  -4.646  2.772
H  -2.619  -4.438  3.790
H  -3.754  -2.235  3.827
H  -2.630  -0.244  2.901
N  2.201  -1.284  -0.309
C  2.638  -0.089  -0.737
N  3.945  0.118  -0.781
C  4.318  1.309  -1.226
N  5.607  1.640  -1.147
N  3.484  2.212  -1.802
C  2.224  1.932  -1.709
N  1.704  0.858  -1.082
C  1.236  2.785  -2.416
C  1.616  3.906  -3.110
C  0.648  4.657  -3.752
C  -0.670  4.253  -3.640
└──

-- Outcome --
Record 1
# C36H34N4O2S4V

A molecular structure, C36H34N4O2S4V (wB97M-V/def2-TZVPD, the OMol25 dataset).

Values from the calculation:
- Orbital gap (alpha / beta): 6.4 / 6.6 eV
- Multiplicity: 3
- HOMO (alpha / beta): -4.371 / -4.557 eV
- Energy above the lowest of the compared OMol25 structures with the same formula, charge and spin: 0.0 kJ/mol
- Net charge: -1

CARTESIAN COORDINATES (ANGSTROEM)
V  -0.061  1.086  0.476
C  1.109  0.351  -2.318
N  0.075  1.296  -1.840
C  -1.264  0.788  -2.244
C  -2.374  1.467  -1.468
N  -2.337  1.030  -0.054
C  -2.948  -0.311  0.075
C  -3.056  1.927  0.838
C  -4.295  2.438  0.475
C  -5.018  3.238  1.345
C  -4.498  3.514  2.601
C  -3.264  3.006  2.969
C  -2.516  2.212  2.097
S  -0.916  1.664  2.590
C  0.281  2.633  -2.385
C  0.538  2.803  -3.741
C  0.718  4.067  -4.278
C  0.633  5.174  -3.439
C  0.364  5.009  -2.095
C  0.172  3.736  -1.533
S  -0.206  3.548  0.155
H  1.008  0.153  -3.391
H  0.990  -0.588  -1.785
H  2.093  0.762  -2.113
H  -1.263  -0.284  -2.052
H  -1.410  0.936  -3.320
H  -3.337  1.218  -1.930
H  -2.251  2.550  -1.487
H  -4.000  -0.270  -0.233
H  -2.899  -0.633  1.113
H  -2.417  -1.034  -0.537
H  -4.700  2.207  -0.503
H  -5.978  3.640  1.045
H  -5.048  4.138  3.296
H  -2.845  3.237  3.940
H  0.603  1.938  -4.389
H  0.926  4.186  -5.334
H  0.778  6.171  -3.838
H  0.295  5.869  -1.441
O  -1.491  -1.486  3.160
C  -0.566  -2.477  3.092
C  -0.380  -3.223  4.258
C  0.513  -4.276  4.289
C  1.240  -4.605  3.149
C  1.035  -3.884  1.989
C  0.132  -2.822  1.934
C  -0.100  -2.163  0.615
O  -0.170  -0.884  0.526
N  -0.241  -3.032  -0.354
N  -0.507  -2.465  -1.588
C  -0.468  -3.307  -2.531
S  -0.132  -5.032  -2.304
C  -0.098  -5.402  -4.081
C  -1.068  -4.472  -4.789
S  -0.734  -2.795  -4.198
H  -1.256  -0.712  2.608
H  -0.954  -2.935  5.129
H  0.650  -4.834  5.207
H  1.957  -5.416  3.165
H  1.569  -4.137  1.083
H  -0.387  -6.445  -4.213
H  0.912  -5.265  -4.467
H  -2.099  -4.745  -4.564
H  -0.924  -4.482  -5.870
C  4.165  -1.059  3.838
C  2.756  -0.982  3.866
C  2.095  -0.264  2.909
C  2.774  0.420  1.867
C  2.050  1.165  0.874
C  2.830  1.898  0.002
C  4.243  1.869  0.005
C  4.919  1.102  0.908
C  4.195  0.368  1.878
C  4.862  -0.395  2.869
H  4.690  -1.636  4.590
H  2.198  -1.497  4.637
H  1.018  -0.187  2.944
H  2.354  2.536  -0.736
H  4.787  2.460  -0.725
H  6.003  1.059  0.913
H  5.946  -0.432  2.850



Record 2
# C36H35AsN7S4W

A molecular structure, C36H35AsN7S4W (wB97M-V/def2-TZVPD, the OMol25 dataset).

Values from the calculation:
- Orbital gap: 6.0 eV
- Multiplicity: 1
- HOMO: -8.821 eV
- Energy above the lowest of the compared OMol25 structures with the same formula, charge and spin: 0.0 kJ/mol
- Net charge: +1

CARTESIAN COORDINATES (ANGSTROEM)
W  -0.458  0.961  -0.793
S  -5.288  2.050  -3.220
C  -4.121  1.228  -3.806
S  -2.581  0.599  -0.356
S  -2.915  0.422  -4.337
S  -0.313  3.138  0.352
C  -0.697  2.925  2.069
C  -1.060  4.044  2.822
C  -1.321  3.922  4.177
C  -1.200  2.686  4.812
C  -0.841  1.576  4.068
C  -0.626  1.695  2.700
As  0.012  0.245  1.602
C  1.813  0.276  2.329
C  2.391  -0.726  3.095
C  3.685  -0.571  3.577
C  4.407  0.580  3.293
C  3.825  1.589  2.536
C  2.531  1.440  2.053
C  -0.848  -1.312  2.352
C  -0.231  -2.558  2.293
C  -0.865  -3.684  2.805
C  -2.131  -3.568  3.366
C  -2.765  -2.330  3.394
C  -2.128  -1.203  2.885
H  -1.129  5.009  2.333
H  -1.612  4.797  4.746
H  -1.377  2.595  5.877
H  -0.724  0.617  4.558
H  1.841  -1.618  3.355
H  4.128  -1.353  4.182
H  5.412  0.698  3.678
H  4.372  2.501  2.329
H  2.075  2.239  1.479
H  0.749  -2.659  1.842
H  -0.369  -4.646  2.772
H  -2.619  -4.438  3.790
H  -3.754  -2.235  3.827
H  -2.630  -0.244  2.901
N  2.201  -1.284  -0.309
C  2.638  -0.089  -0.737
N  3.945  0.118  -0.781
C  4.318  1.309  -1.226
N  5.607  1.640  -1.147
N  3.484  2.212  -1.802
C  2.224  1.932  -1.709
N  1.704  0.858  -1.082
C  1.236  2.785  -2.416
C  1.616  3.906  -3.110
C  0.648  4.657  -3.752
C  -0.670  4.253  -3.640